• Wanted:
Find "ΔE_f: 0.00" and "0.1933" in the listing further below, and give back these two lines and those between.
• Material:
'''
The following is a GGA-PBE calculation of an optimized crystal structure of FeRh5, from Alexandria via LeMat-Bulk.

Results
- ΔE_f: 0.00 eV/atom
- Density of states at the Fermi level: 18.66 states/eV per cell
- Calculated density: 11.343 g/cm³

Cell: 4.348 2.748 13.976 Å, 90.00 90.00 90.00°
Space group Amm2 (No. 38)
Symmetry-distinct sites (fractional):
Fe 0.000 0.000 0.000 [2 per cell]
Rh 0.000 0.000 0.334 [2 per cell]
Rh 0.000 0.000 0.662 [2 per cell]
Rh 0.500 0.000 0.110 [2 per cell]
Rh 0.500 0.000 0.447 [2 per cell]
Rh 0.500 0.000 0.779 [2 per cell]

~~~~~

Below is a relaxed structure of LiMn2F7, with properties calculated at the PBE with a Hubbard U level.

```
LiMn2F7
1.0
0.2067 1.6805 -5.4977
-1.6306 6.2277 1.1821
8.3247 -1.0718 2.1030
Li Mn F
2 4 14
Direct
0.1425 0.0328 0.7833 Li
0.8575 0.9672 0.2167 Li
0.2711 0.2936 0.2032 Mn
0.2246 0.4741 0.6742 Mn
0.7754 0.5259 0.3258 Mn
0.7289 0.7064 0.7968 Mn
0.5859 0.4372 0.7537 F
0.9196 0.4232 0.1413 F
0.4141 0.5628 0.2463 F
0.6781 0.8055 0.0096 F
0.8513 0.8028 0.3619 F
0.3177 0.7561 0.7019 F
0.0804 0.5768 0.8587 F
0.1587 0.0359 0.1933 F
0.3219 0.1945 0.9904 F
0.1990 0.4135 0.4297 F
0.6823 0.2439 0.2981 F
0.1487 0.1972 0.6381 F
0.8010 0.5865 0.5703 F
0.8413 0.9641 0.8067 F
```

Calculated values
- DOS(E_F): 0.00 states/eV per cell
- Electronic total energy: -110.03 eV for the cell shown
- Volume: 301 Å³ per cell
- Total magnetic moment: 8.00 μB per formula unit
'''
• Solution:
- ΔE_f: 0.00 eV/atom
- Density of states at the Fermi level: 18.66 states/eV per cell
- Calculated density: 11.343 g/cm³

Cell: 4.348 2.748 13.976 Å, 90.00 90.00 90.00°
Space group Amm2 (No. 38)
Symmetry-distinct sites (fractional):
Fe 0.000 0.000 0.000 [2 per cell]
Rh 0.000 0.000 0.334 [2 per cell]
Rh 0.000 0.000 0.662 [2 per cell]
Rh 0.500 0.000 0.110 [2 per cell]
Rh 0.500 0.000 0.447 [2 per cell]
Rh 0.500 0.000 0.779 [2 per cell]

~~~~~

Below is a relaxed structure of LiMn2F7, with properties calculated at the PBE with a Hubbard U level.

```
LiMn2F7
1.0
0.2067 1.6805 -5.4977
-1.6306 6.2277 1.1821
8.3247 -1.0718 2.1030
Li Mn F
2 4 14
Direct
0.1425 0.0328 0.7833 Li
0.8575 0.9672 0.2167 Li
0.2711 0.2936 0.2032 Mn
0.2246 0.4741 0.6742 Mn
0.7754 0.5259 0.3258 Mn
0.7289 0.7064 0.7968 Mn
0.5859 0.4372 0.7537 F
0.9196 0.4232 0.1413 F
0.4141 0.5628 0.2463 F
0.6781 0.8055 0.0096 F
0.8513 0.8028 0.3619 F
0.3177 0.7561 0.7019 F
0.0804 0.5768 0.8587 F
0.1587 0.0359 0.1933 F